I’m freaking her all the fucking way out. We managed to have an intensely personal conversation about our sex lives after only knowing each other a week. A conversation that detailed how our sex lives are joining. That was fine. This? This is not fine.
“Sinead, I’m not trying to give you an ultimatum. I’m telling you facts about the reality you’ve stepped into. All our bodyguards carry weapons. They’re there to protect the people in my family from a lot more than someone looking in their direction. If I felt the need for you to have a detail from the very start, it’s because I believe there’s a real danger to you. I don’t live in a world where calling the cops is the solution. Quite honestly, if I didn’t know my life depended on it, I wouldn’t carry a gun. I wouldn’t even own one. If I didn’t live in this world, I wouldn’t feel like I need one. Not to protect myself. Not to protect my home. But I was born into this, just like the last six generations of my family. I’m surprised they didn't give me my first knife at my baptism, and my first gun at my confirmation. I will not risk your safety, nor will I apologize for protecting you. It’s non-negotiable for me. If this gun is a deal breaker for you, then we go our separate ways.”
“This is a fuck ton to take in right now, Gabriele. My head is fucking spinning. Part of me is surprised you have one somewhere like this, and part of me thinks I’m fucking stupid for being one bit surprised. Part of me is glad that you can protect yourself, and I appreciate you can protect me. But it’s also terrifying to know you might need to protect me. I didn’t consider whether your men would carry them. I guess I thought their presence would make people know I’m off limits. Now I feel supremely naïve and even stupider for it. The scared part of me says run. The ambitious part of me says pull your big girl panties up and get over it. The attracted to you part of me doesn’t want to think anything could happen to you and wants you too much to have much common sense. I don’t know what to do.”
-- Records of crystals from another source follow --
<<<
No. 1
Structure and computed powder XRD pattern of RbPb (the GGA-PBE geometry in the Materials Project; λ = 1.5418 Å (Cu Kα)).

Crystal structure
```
RbPb
1.0
-6.0730 6.0730 9.9540
6.0730 -6.0730 9.9540
6.0730 6.0730 -9.9540
Rb Pb
16 16
Cartesian
4.6059 1.5694 -2.4885
9.1095 1.3834 0.0000
7.5401 4.5036 -2.4885
4.4199 6.0730 -4.9770
4.4199 0.0000 4.9770
1.4671 1.5694 2.4885
3.0365 4.6896 0.0000
-1.4671 4.5036 2.4885
7.5401 1.5694 7.4655
3.0365 1.3834 9.9540
4.6059 4.5036 7.4655
1.6531 6.0730 4.9770
1.6531 0.0000 14.9310
-1.4671 1.5694 12.4425
-3.0365 4.6896 9.9540
1.4671 4.5036 12.4425
4.6834 -3.7754 6.3347
6.8119 -4.4261 8.5964
7.4626 -2.2976 6.3347
5.3340 1.6469 1.3576
5.3340 -1.6469 8.5964
7.4626 2.2976 3.6194
6.8119 4.4261 1.3576
4.6834 3.7754 3.6194
1.3896 2.2975 6.3347
-0.7389 1.6469 8.5964
-1.3896 3.7754 6.3347
0.7389 7.7199 1.3576
0.7389 4.4261 8.5964
-1.3896 8.3705 3.6194
-0.7389 10.4990 1.3576
1.3896 9.8484 3.6194
```

Top 10 peaks for 2θ from 10° to 80°, by angle:
13.62 deg, 6.503 Å, rel. 100
14.59 deg, 6.073 Å, rel. 25
26.84 deg, 3.321 Å, rel. 66
27.78 deg, 3.211 Å, rel. 58
28.85 deg, 3.095 Å, rel. 25
29.39 deg, 3.039 Å, rel. 56
29.74 deg, 3.004 Å, rel. 30
30.79 deg, 2.904 Å, rel. 26
34.89 deg, 2.572 Å, rel. 32
50.62 deg, 1.803 Å, rel. 23

No. 2
Structure and computed powder XRD pattern of Er3Mn3Ga2Si (the GGA-PBE geometry in the Materials Project; λ = 1.5418 Å (Cu Kα)).

Crystal structure
```
Er3Mn3Ga2Si
1.0
7.0350 0.0000 0.0000
-3.5175 6.0925 0.0000
0.0000 0.0000 3.9026
Er Mn Ga Si
3 3 2 1
Cartesian
-1.4318 2.4799 0.0000
2.8636 0.0000 0.0000
2.0857 3.6126 0.0000
-2.7428 4.7506 1.9513
0.7747 1.3419 1.9513
5.4856 0.0000 1.9513
0.0000 4.0617 1.9513
3.5175 2.0308 1.9513
0.0000 0.0000 0.0000
```

Top 10 peaks for 2θ from 10° to 80°, by angle:
25.32 deg, 3.518 Å, rel. 26
34.32 deg, 2.613 Å, rel. 100
37.45 deg, 2.401 Å, rel. 58
39.12 deg, 2.303 Å, rel. 38
44.62 deg, 2.031 Å, rel. 14
46.54 deg, 1.951 Å, rel. 18
54.29 deg, 1.690 Å, rel. 17
59.62 deg, 1.551 Å, rel. 30
62.38 deg, 1.489 Å, rel. 18
71.73 deg, 1.316 Å, rel. 14

No. 3
Structure and computed powder XRD pattern of Sr (the GGA-PBE geometry in the Materials Project; λ = 1.5418 Å (Cu Kα)).

Crystal structure
```
Sr
1.0
3.7730 0.0000 0.0000
0.0000 3.7730 0.0000
0.0000 0.0000 3.8813
Sr
1
Cartesian
0.0000 0.0000 0.0000
```

Top 10 peaks for 2θ from 10° to 80°, by angle:
22.91 deg, 3.881 Å, rel. 54
23.58 deg, 3.773 Å, rel. 100
33.11 deg, 2.705 Å, rel. 84
33.59 deg, 2.668 Å, rel. 40
41.05 deg, 2.199 Å, rel. 46
53.07 deg, 1.726 Å, rel. 21
54.05 deg, 1.697 Å, rel. 20
54.37 deg, 1.687 Å, rel. 20
59.76 deg, 1.547 Å, rel. 30
74.52 deg, 1.273 Å, rel. 16

No. 4
Structure and computed powder XRD pattern of Li2InPb (the GGA-PBE geometry in the Materials Project; λ = 1.5418 Å (Cu Kα)).

Crystal structure
```
Li2InPb
1.0
0.0000 3.6075 3.6075
3.6075 0.0000 3.6075
3.6075 3.6075 0.0000
Li In Pb
2 1 1
Cartesian
0.0000 0.0000 0.0000
1.8038 1.8038 1.8038
3.6075 3.6075 3.6075
5.4113 5.4113 5.4113
```
>>>
“I take you to Auntie Paola’s. You sleep and think about it with a clear head in the morning. If you can’t sleep, then you at least rest. When I was really little and hated taking naps, my mom would tell me to have a body rest. I still wanted to be up doing stuff, playing, but it did me some good. And if you get scared in the middle of the night, you come and get me. I’ll stay with you until you aren’t scared.”
I hope she can hear the sincerity in my voice and see it in my eyes. I hope she knows I regret all of this shit coming even remotely close to her. I’m seriously fucking questioning why I’m doing any of this. I should stay away from her. I should insist Uncle Massimo and Uncle Salvatore find someone else to represent me. Someone with experience with syndicates; someone I couldn’t give two shits about. I don’t want this undertow to suck her down and drown her.
That’s what it does to anyone else who gets too close to syndicate life. Maria was born into this. She didn’t have any choice. Serafina was born into two different Italian syndicates: Venice and Sicily. She’s like Maria and has known nothing else. But Olivia met Luca because a cartel tried to suck her in, and now that she’s married into the Cosa Nostra, she’ll never be free of it. Not now that it’s touched her life. Is that what I want to have happen to Sinead?
“All right. I have to be in court at eight tomorrow. It’s getting late, and I’m exhausted. Let’s go.”
“Are you all right with this?”
“I have no choice, really. So, I’ll get all right with it.”
These records of crystals were left in the article by mistake =
- - -
Entry 1:
This entry pairs a crystal structure of TlAg3PtO4 with its theoretical powder X-ray diffraction pattern. Radiation: a wavelength of 1.5418 Å. Structure: the GGA-PBE geometry in OQMD.

Cell and atoms:
a = 5.3411 Å, b = 5.3411 Å, c = 5.3411 Å
α = 90.00°, β = 90.00°, γ = 90.00°
Sites, in units of the cell vectors:
Tl: 0.0000 0.0000 0.0000
Ag: 0.0000 0.5000 0.5000
Ag: 0.5000 0.0000 0.5000
Ag: 0.5000 0.5000 0.0000
Pt: 0.5000 0.5000 0.5000
O: 0.2410 0.2410 0.2410
O: 0.2410 0.7590 0.7590
O: 0.7590 0.2410 0.7590
O: 0.7590 0.7590 0.2410

Largest 8 diffraction maxima, low angle first, 2θ from 10° to 90°:
2θ 23.56, I 84; 2θ 28.96, I 55; 2θ 33.56, I 98; 2θ 41.41, I 40; 2θ 48.19, I 100; 2θ 57.20, I 22; 2θ 60.00, I 25; 2θ 80.41, I 33

Entry 2:
This entry pairs a crystal structure of Cs2SrNb4O12 with its theoretical powder X-ray diffraction pattern. Radiation: a wavelength of 1.5418 Å. Structure: the GGA-PBE geometry in OQMD.

Cell and atoms:
a = 8.2441 Å, b = 8.2441 Å, c = 5.7832 Å
α = 90.00°, β = 90.00°, γ = 90.00°
Sites, in units of the cell vectors:
Cs: 0.0000 0.5000 0.0000
Cs: 0.5000 0.0000 0.0000
Sr: 0.0000 0.0000 0.0000
Nb: 0.2693 0.2693 0.5000
Nb: 0.2693 0.7307 0.5000
Nb: 0.7307 0.2693 0.5000
Nb: 0.7307 0.7307 0.5000
O: 0.1826 0.1826 0.2433
O: 0.1826 0.1826 0.7567
O: 0.1826 0.8174 0.2433
O: 0.1826 0.8174 0.7567
O: 0.2195 0.5000 0.5000
O: 0.5000 0.2195 0.5000
O: 0.5000 0.7805 0.5000
O: 0.7805 0.5000 0.5000
O: 0.8174 0.1826 0.2433
O: 0.8174 0.1826 0.7567
O: 0.8174 0.8174 0.2433
O: 0.8174 0.8174 0.7567

Largest 8 diffraction maxima, low angle first, 2θ from 10° to 90°:
2θ 26.56, I 100; 2θ 30.67, I 34; 2θ 30.92, I 14; 2θ 43.93, I 13; 2θ 44.12, I 17; 2θ 52.07, I 28; 2θ 52.40, I 15; 2θ 54.69, I 14

Entry 3:
This entry pairs a crystal structure of CuAg4 with its theoretical powder X-ray diffraction pattern. Radiation: a wavelength of 1.5418 Å. Structure: the GGA-PBE geometry in OQMD.

Cell and atoms:
a = 4.9642 Å, b = 2.8914 Å, c = 11.7817 Å
α = 90.00°, β = 97.54°, γ = 90.00°
Sites, in units of the cell vectors:
Cu: 0.1008 0.0000 0.3041
Cu: 0.8992 0.0000 0.6959
Ag: 0.0000 0.5000 0.5000
Ag: 0.1971 0.5000 0.1098
Ag: 0.2971 0.0000 0.9007
Ag: 0.3944 0.5000 0.6991
Ag: 0.5000 0.0000 0.5000
Ag: 0.6056 0.5000 0.3009
Ag: 0.7029 0.0000 0.0993
Ag: 0.8029 0.5000 0.8902

Largest 8 diffraction maxima, low angle first, 2θ from 10° to 90°:
2θ 38.32, I 100; 2θ 38.54, I 32; 2θ 44.43, I 43; 2θ 44.95, I 20; 2θ 64.91, I 19; 2θ 65.18, I 12; 2θ 77.56, I 8; 2θ 78.43, I 11

Entry 4:
This entry pairs a crystal structure of Cu7Ag3 with its theoretical powder X-ray diffraction pattern. Radiation: a wavelength of 1.5418 Å. Structure: the GGA-PBE geometry in OQMD.

Cell and atoms:
a = 4.6211 Å, b = 8.0229 Å, c = 11.6796 Å
α = 78.59°, β = 82.14°, γ = 73.44°
Sites, in units of the cell vectors:
Cu: 0.0000 0.0000 0.0000
Cu: 0.0000 0.5337 0.2811
Cu: 0.0718 0.4845 0.6742
Cu: 0.1059 0.3959 0.0992
Cu: 0.1443 0.8645 0.7784
Cu: 0.2025 0.3296 0.4699
Cu: 0.2142 0.8076 0.1824
- - -
She turns toward the door, and I walk with her. I lean past to open it, and we come face-to-face with Lorenzo. He sweeps his eyes over us, but his expression shows nothing Sinead could interpret. I can tell he’s certain we didn’t go all the way to sex, and he’s glad. He didn’t stop me, but now that I’m not in a lust haze, I know he wouldn’t have approved. It wouldn’t have been a moral judgement. It would be him worried I wouldn’t get the best possible defense because I compromised Sinead’s ability to detach reason from emotion. He doesn’t need to know about last night.
“We’re headed to Auntie Paola’s.”
“Did you text her?”
“I will now.”
Sinead looks up at me, her eyes wide.
“It’s after midnight, Gabriele. You can’t text her now. I’ll check myself into a hotel.”
I stare down at her, and I see the mutinous glare enter her eyes. I can wait her out.
“Oh, for fuck’s sake.” Apparently, Lorenzo can’t. “Sinead, go to our aunt’s house. She won’t care at all. Hell, she’s probably awake working on a campaign speech or something. If you go to a hotel, Gabriele will spend the entire night standing outside your door. Do us all a favor and let him sleep. He’s fucking Grumpy from the Seven Dwarfs if you don’t. You think he’s stubborn now? Wait till he doesn’t get his four hours of beauty sleep. He’s fucking Shrek. Auntie Paola has the best beds in her guest bedrooms. She also loves soft towels and always has practically a buffet in her kitchen around the clock. You won’t want to leave.”
Sinead’s listening to him but watching me. I’m not trying to push my will onto her anymore. I’ll let Lorenzo’s reasoning do it for me. She nods, but she still hasn’t taken her eyes off me. Lorenzo steps aside to let us pass, and we walk through the club with Sinead a step behind me. I nod to Marco as we approach the door. He smiles at Sinead, and he knows how women react to it. But it falters before he looks at me. When he gets nothing from me, he goes back to Sinead. I feel her shift and step closer to my back.
“Sinead, this is Marco. He’s Lorenzo’s older brother. He’s one of Uncle Massimo’s sons.”
She steps around me and extends her hand, which Marco takes. I’m surprised he doesn’t do the whole air kiss over her hand and say “enchanté.” He’s goading me while trying to see if he’s allowed on the field.
“Hello, Sinead.”
I turn, so I can see both of them. She’s watching me, not Marco. Her expression is expectant. Does she want more of an introduction? Or is she trying to get me out the door?
“We’re headed to Auntie Paola’s.”
**Here the page breaks off for calculated crystals**
1.
Computed XRD peak list of LiMn6O4F8 for a wavelength of 1.5418 Å, from a structure optimized by DFT (GGA+U).
No peak broadening, texture or thermal motion is included.

Structure:
abc: 4.987 5.850 7.969
angles: 92.06 95.00 93.59
Sites, in units of the cell vectors:
Li  0.000  0.000  0.000
Mn  0.321  0.297  0.419
Mn  0.393  0.014  0.742
Mn  0.462  0.743  0.101
Mn  0.663  0.291  0.129
Mn  0.883  0.501  0.772
Mn  0.887  0.791  0.422
O  0.177  0.017  0.532
O  0.578  0.530  0.294
O  0.603  0.027  0.970
O  0.661  0.519  0.972
F  0.077  0.520  0.542
F  0.084  0.260  0.188
F  0.091  0.800  0.194
F  0.122  0.226  0.845
F  0.166  0.764  0.866
F  0.599  0.284  0.635
F  0.616  0.047  0.302
F  0.664  0.786  0.647

Top 12 peaks for 10° ≤ 2θ ≤ 90°, sorted by position:
| d_spacing | Rel. int. |
| --- | --- |
| 3.907 | 23 |
| 3.566 | 70 |
| 3.212 | 100 |
| 2.822 | 42 |
| 2.775 | 33 |
| 2.726 | 33 |
| 2.644 | 24 |
| 2.158 | 24 |
| 1.783 | 24 |
| 1.673 | 27 |
| 1.609 | 18 |
| 1.458 | 16 |



2.
Computed XRD peak list of Li7MnO3F3 for a wavelength of 1.5418 Å, from a structure optimized by DFT (GGA+U).
No peak broadening, texture or thermal motion is included.

Structure:
abc: 5.495 6.030 10.075
angles: 105.79 90.96 111.73
Sites, in units of the cell vectors:
Li  0.000  0.000  0.000
Li  0.003  0.305  0.526
Li  0.017  0.036  0.655
Li  0.022  0.316  0.877
Li  0.044  0.041  0.321
Li  0.094  0.738  0.458
Li  0.432  0.621  0.605
Li  0.461  0.315  0.733
Li  0.505  0.291  0.384
Li  0.514  0.015  0.151
Li  0.517  0.344  0.045
Li  0.556  0.993  0.826
Li  0.573  0.032  0.540
Li  0.993  0.366  0.220
Mn  0.046  0.697  0.759
Mn  0.550  0.660  0.313
O  0.175  0.414  0.714
O  0.226  0.440  0.397
O  0.318  0.916  0.649
O  0.659  0.377  0.227
O  0.846  0.934  0.464
O  0.861  0.930  0.811
F  0.183  0.375  0.061
F  0.332  0.953  0.976
F  0.340  0.932  0.322
F  0.671  0.382  0.568
F  0.691  0.361  0.887
F  0.828  0.956  0.157

Top 12 peaks for 10° ≤ 2θ ≤ 90°, sorted by position:
| d_spacing | Rel. int. |
| --- | --- |
| 4.806 | 52 |
| 4.742 | 56 |
| 4.480 | 57 |
| 4.259 | 100 |
| 4.005 | 44 |
| 2.590 | 85 |
| 2.559 | 80 |
| 2.350 | 49 |
| 2.010 | 22 |
| 2.004 | 33 |
| 1.830 | 23 |
| 1.614 | 23 |



3.
Computed XRD peak list of Li2Mn3OF6 for a wavelength of 1.5418 Å, from a structure optimized by DFT (GGA+U).
No peak broadening, texture or thermal motion is included.

Structure:
abc: 5.167 10.785 12.021
angles: 64.29 79.01 89.68
Sites, in units of the cell vectors:
Li  0.000  0.000  0.000
Li  0.000  0.319  0.719
Li  0.153  0.588  0.507
Li  0.350  0.550  0.280
Li  0.392  0.495  0.009
Li  0.649  0.818  0.712
Li  0.708  0.092  0.516
Li  0.709  0.033  0.306
Mn  0.010  0.652  0.855
Mn  0.131  0.004  0.725
Mn  0.190  0.857  0.495
Mn  0.294  0.225  0.299
Mn  0.345  0.034  0.160
Mn  0.463  0.822  0.002
Mn  0.492  0.158  0.840
Mn  0.559  0.510  0.710
Mn  0.686  0.370  0.474
Mn  0.768  0.730  0.286
Mn  0.846  0.539  0.142
Mn  0.854  0.310  0.030
O  0.276  0.983  0.879
O  0.572  0.176  0.177
“Will I see you at the gym in the morning?”
I gaze down at Sinead.
“I usually go at four and will be back about six-thirty. Which court do you need to be at?”
“Queens Criminal Court.”
“That’s not too bad. Auntie Paola lives in Queens.”